### Entries
<<<
Entry from the Materials Project database: an optimized crystal structure of Ta2O5 (PBE-GGA).

Results
Symmetry: P1, No. 1
Energy of formation in eV per atom: -3.288
Mass density in g cm⁻³: 7.03
E in eV per atom: -9.719

a = 3.869 Å, b = 3.834 Å, c = 21.220 Å
α = 84.83°, β = 92.31°, γ = 89.99°
Fractional coordinates of all 21 atoms:
Ta1 0.908 0.696 0.598
Ta2 0.975 0.049 0.909
Ta3 0.031 0.396 0.222
Ta4 0.958 0.617 0.778
Ta5 0.010 0.958 0.090
Ta6 0.080 0.293 0.402
O1 0.973 0.571 0.884
O2 0.014 0.454 0.116
O3 0.510 0.984 0.092
O4 0.533 0.417 0.219
O5 0.028 0.915 0.196
O6 0.082 0.783 0.423
O7 0.583 0.286 0.418
O8 0.477 0.078 0.908
O9 0.958 0.111 0.804
O10 0.928 0.649 0.688
O11 0.994 0.979 0.000
O12 0.906 0.207 0.577
O13 0.454 0.638 0.781
O14 0.405 0.706 0.582
O15 0.059 0.339 0.313

---

Entry from the Materials Project database: an optimized crystal structure of Ta2O7 (PBE-GGA).

Results
Symmetry: Fd-3m, No. 227
Energy of formation in eV per atom: -2.106
Mass density in g cm⁻³: 5.18
E in eV per atom: -8.055

a = 7.546 Å, b = 7.546 Å, c = 7.546 Å
α = 60.00°, β = 60.00°, γ = 60.00°
Fractional coordinates of all 18 atoms:
O1 0.684 0.684 0.316
O2 0.566 0.566 0.934
O3 0.934 0.934 0.566
O4 0.316 0.684 0.316
O5 0.000 0.000 0.000
O6 0.684 0.316 0.316
O7 0.566 0.934 0.934
O8 0.250 0.250 0.250
O9 0.316 0.684 0.684
O10 0.316 0.316 0.684
O11 0.934 0.566 0.566
O12 0.566 0.934 0.566
O13 0.684 0.316 0.684
O14 0.934 0.566 0.934
Ta1 0.125 0.625 0.625
Ta2 0.625 0.625 0.125
Ta3 0.625 0.125 0.625
Ta4 0.625 0.625 0.625

---

Entry from the Materials Project database: an optimized crystal structure of Ta2O5 (PBE-GGA).

Results
Symmetry: Pmmn, No. 59
Energy of formation in eV per atom: -3.336
Mass density in g cm⁻³: 7.40
E in eV per atom: -9.767

a = 3.871 Å, b = 3.904 Å, c = 13.128 Å
α = 90.00°, β = 90.00°, γ = 90.00°
Fractional coordinates of all 14 atoms:
Ta1 0.519 0.023 0.354
Ta2 0.019 0.977 0.854
Ta3 0.019 0.977 0.146
Ta4 0.519 0.023 0.646
O1 0.519 0.998 0.815
O2 0.519 0.507 0.352
O3 0.019 0.002 0.685
O4 0.519 0.507 0.648
O5 0.019 0.002 0.315
O6 0.519 0.005 0.500
O7 0.019 0.995 0.000
O8 0.519 0.998 0.185
O9 0.019 0.493 0.852
O10 0.019 0.493 0.148

---

Entry from the Materials Project database: an optimized crystal structure of Ta2O (PBE-GGA).

Results
Symmetry: I-43m, No. 217
Energy of formation in eV per atom: 0.219
Mass density in g cm⁻³: 11.78
E in eV per atom: -9.107

a = 6.517 Å, b = 6.517 Å, c = 6.517 Å
α = 109.47°, β = 109.47°, γ = 109.47°
Fractional coordinates of all 12 atoms:
Ta1 0.000 0.571 0.000
Ta2 0.429 0.429 0.429
Ta3 0.000 0.500 0.500
Ta4 0.500 0.000 0.500
Ta5 0.000 0.000 0.571
Ta6 0.500 0.500 0.000
Ta7 0.000 0.000 0.000
Ta8 0.571 0.000 0.000
O1 0.711 0.711 0.711
O2 0.289 0.000 0.000
O3 0.000 0.000 0.289
O4 0.000 0.289 0.000

---

Entry from the Materials Project database: an optimized crystal structure of Ta2O5 (PBE-GGA).

Results
Symmetry: C2/m, No. 12
Energy of formation in eV per atom: -3.176
Mass density in g cm⁻³: 7.99
E in eV per atom: -9.607

a = 18.241 Å, b = 18.241 Å, c = 3.831 Å
α = 87.95°, β = 87.95°, γ = 12.49°
Fractional coordinates of all 21 atoms:
Ta1 0.051 0.051 0.097
Ta2 0.949 0.949 0.903
Ta3 0.295 0.295 0.472
Ta4 0.705 0.705 0.528
Ta5 0.872 0.872 0.420
Ta6 0.128 0.128 0.580
O1 0.068 0.068 0.602
O2 0.634 0.634 0.577
O3 0.113 0.113 0.085
O4 0.000 0.000 0.000
O5 0.449 0.449 0.867
O6 0.695 0.695 0.034
O7 0.500 0.000 0.500
O8 0.819 0.819 0.455
O9 0.000 0.500 0.500
O10 0.932 0.932 0.398
O11 0.887 0.887 0.915
O12 0.181 0.181 0.545
O13 0.366 0.366 0.423
O14 0.551 0.551 0.133
O15 0.305 0.305 0.966

---

Entry from the Materials Project database: an optimized crystal structure of Ta2O5 (PBE-GGA).

Results
Symmetry: I4/mmm, No. 139
Energy of formation in eV per atom: -3.225
Mass density in g cm⁻³: 5.44
E in eV per atom: -9.657

a = 6.086 Å, b = 6.086 Å, c = 6.086 Å
α = 128.34°, β = 128.34°, γ = 76.07°
Fractional coordinates of all 7 atoms:
Ta1 0.198 0.198 0.000
Ta2 0.802 0.802 0.000
O1 0.500 0.000 0.000
>>>

### Assignment
Your job: write out only the last part of the entries further above, starting with the line that has "0.082 0.783".

### Done
O6 0.082 0.783 0.423
O7 0.583 0.286 0.418
O8 0.477 0.078 0.908
O9 0.958 0.111 0.804
O10 0.928 0.649 0.688
O11 0.994 0.979 0.000
O12 0.906 0.207 0.577
O13 0.454 0.638 0.781
O14 0.405 0.706 0.582
O15 0.059 0.339 0.313

---

Entry from the Materials Project database: an optimized crystal structure of Ta2O7 (PBE-GGA).

Results
Symmetry: Fd-3m, No. 227
Energy of formation in eV per atom: -2.106
Mass density in g cm⁻³: 5.18
E in eV per atom: -8.055

a = 7.546 Å, b = 7.546 Å, c = 7.546 Å
α = 60.00°, β = 60.00°, γ = 60.00°
Fractional coordinates of all 18 atoms:
O1 0.684 0.684 0.316
O2 0.566 0.566 0.934
O3 0.934 0.934 0.566
O4 0.316 0.684 0.316
O5 0.000 0.000 0.000
O6 0.684 0.316 0.316
O7 0.566 0.934 0.934
O8 0.250 0.250 0.250
O9 0.316 0.684 0.684
O10 0.316 0.316 0.684
O11 0.934 0.566 0.566
O12 0.566 0.934 0.566
O13 0.684 0.316 0.684
O14 0.934 0.566 0.934
Ta1 0.125 0.625 0.625
Ta2 0.625 0.625 0.125
Ta3 0.625 0.125 0.625
Ta4 0.625 0.625 0.625

---

Entry from the Materials Project database: an optimized crystal structure of Ta2O5 (PBE-GGA).

Results
Symmetry: Pmmn, No. 59
Energy of formation in eV per atom: -3.336
Mass density in g cm⁻³: 7.40
E in eV per atom: -9.767

a = 3.871 Å, b = 3.904 Å, c = 13.128 Å
α = 90.00°, β = 90.00°, γ = 90.00°
Fractional coordinates of all 14 atoms:
Ta1 0.519 0.023 0.354
Ta2 0.019 0.977 0.854
Ta3 0.019 0.977 0.146
Ta4 0.519 0.023 0.646
O1 0.519 0.998 0.815
O2 0.519 0.507 0.352
O3 0.019 0.002 0.685
O4 0.519 0.507 0.648
O5 0.019 0.002 0.315
O6 0.519 0.005 0.500
O7 0.019 0.995 0.000
O8 0.519 0.998 0.185
O9 0.019 0.493 0.852
O10 0.019 0.493 0.148

---

Entry from the Materials Project database: an optimized crystal structure of Ta2O (PBE-GGA).

Results
Symmetry: I-43m, No. 217
Energy of formation in eV per atom: 0.219
Mass density in g cm⁻³: 11.78
E in eV per atom: -9.107

a = 6.517 Å, b = 6.517 Å, c = 6.517 Å
α = 109.47°, β = 109.47°, γ = 109.47°
Fractional coordinates of all 12 atoms:
Ta1 0.000 0.571 0.000
Ta2 0.429 0.429 0.429
Ta3 0.000 0.500 0.500
Ta4 0.500 0.000 0.500
Ta5 0.000 0.000 0.571
Ta6 0.500 0.500 0.000
Ta7 0.000 0.000 0.000
Ta8 0.571 0.000 0.000
O1 0.711 0.711 0.711
O2 0.289 0.000 0.000
O3 0.000 0.000 0.289
O4 0.000 0.289 0.000

---

Entry from the Materials Project database: an optimized crystal structure of Ta2O5 (PBE-GGA).

Results
Symmetry: C2/m, No. 12
Energy of formation in eV per atom: -3.176
Mass density in g cm⁻³: 7.99
E in eV per atom: -9.607

a = 18.241 Å, b = 18.241 Å, c = 3.831 Å
α = 87.95°, β = 87.95°, γ = 12.49°
Fractional coordinates of all 21 atoms:
Ta1 0.051 0.051 0.097
Ta2 0.949 0.949 0.903
Ta3 0.295 0.295 0.472
Ta4 0.705 0.705 0.528
Ta5 0.872 0.872 0.420
Ta6 0.128 0.128 0.580
O1 0.068 0.068 0.602
O2 0.634 0.634 0.577
O3 0.113 0.113 0.085
O4 0.000 0.000 0.000
O5 0.449 0.449 0.867
O6 0.695 0.695 0.034
O7 0.500 0.000 0.500
O8 0.819 0.819 0.455
O9 0.000 0.500 0.500
O10 0.932 0.932 0.398
O11 0.887 0.887 0.915
O12 0.181 0.181 0.545
O13 0.366 0.366 0.423
O14 0.551 0.551 0.133
O15 0.305 0.305 0.966

---

Entry from the Materials Project database: an optimized crystal structure of Ta2O5 (PBE-GGA).

Results
Symmetry: I4/mmm, No. 139
Energy of formation in eV per atom: -3.225
Mass density in g cm⁻³: 5.44
E in eV per atom: -9.657

a = 6.086 Å, b = 6.086 Å, c = 6.086 Å
α = 128.34°, β = 128.34°, γ = 76.07°
Fractional coordinates of all 7 atoms:
Ta1 0.198 0.198 0.000
Ta2 0.802 0.802 0.000
O1 0.500 0.000 0.000